Seattle Center staff and C21 to present recommendation on SeaSk8 – TOMORROW
Tomorrow we will find out what the Seattle Center staff and Century 21 Committee recommendation for the SeaSk8 replacement site is, which they will present at the PELL meeting tomorrow.
The replacement for the now-demolished SeaSk8 skatepark was supposed to be constructed before they tore the old one down. Instead, Seattle Center staff led by then-interim Executive Director Robert Nellams, pulled the trigger on January 3rd and sent in the bulldozers without as much as an email or phone call to the SPAC or the Parks Department.
Mr. Nellams defended himself by reminding us that the destruction of the skatepark was imminent, and that they posted signs at the park a few days before-hand. What never seemed to resonate with him or any city staff was the reasoning behind the call to build the replacement before demolishing the old park: the destruction of the community that assembled there. Without a place to go, the kids that used that park on a daily basis would simply lose the foundation of their community, and therefore their union would dissipate. One has to wonder…was this the intention?
Fast forward 6 months and skateboarders are still locked into ongoing discussions with the Seattle Center staff, the City Council (who has been very supportive of skateboarders on this issue), and the Century 21 Committee, who has now unfortunately nudged their way into the conversation.
[Inserted here: molecular data]
+++
Here is a cluster of 15 separate species, C5H43N2O14 in total from the Open Molecules 2025 dataset. Energies are from the ωB97M-V functional and the def2-TZVPD basis.

Structure (XYZ):
```
64
Properties=species:S:1:pos:R:3:forces:R:3
N -1.823226 0.636163 1.535704 -0.93 0.51 0.44
C -0.597430 -0.263229 1.600805 1.42 0.34 0.58
C 0.132661 -0.524631 0.250211 -1.29 -0.61 1.96
N 0.518288 0.751485 -0.343385 -0.79 0.37 -1.12
C 1.921021 1.116937 -0.467670 2.54 0.22 1.13
C 2.944074 0.624195 0.673284 -3.59 1.70 0.03
C 3.353035 1.739450 1.679746 2.42 -0.23 -1.23
H -1.644015 1.482385 2.079578 -0.28 -0.34 0.26
H -2.179265 1.046038 0.615650 0.69 -0.90 0.47
H -2.695573 0.145195 1.924302 1.91 0.96 -0.38
H 0.223344 0.242603 2.253854 -1.97 -0.94 -0.46
H -1.045182 -1.193446 2.012716 1.45 0.77 -0.25
H 1.012642 -1.185331 0.628852 -1.63 0.66 -1.50
H -0.761523 -1.086169 -0.163668 1.76 0.27 -1.21
H 0.195518 0.901917 -1.321028 -0.24 -0.69 1.11
H 2.065650 2.207418 -0.510631 -0.65 -0.23 0.05
H 2.341365 0.760189 -1.390773 -0.05 -0.47 -0.60
H 3.748820 0.223995 0.118196 1.13 -0.44 -0.02
H 2.357596 -0.176471 1.151865 1.03 0.09 0.31
H 4.218640 1.315942 2.216532 -0.17 0.34 0.04
H 2.710522 2.126295 2.429011 -1.33 -0.26 0.44
H 3.740203 2.680301 1.187131 -0.36 -1.14 0.08
H -1.748339 3.246785 -2.673783 0.87 0.66 -0.38
H -3.110725 2.662809 -3.089567 -0.44 0.13 -0.80
O -2.519322 2.790842 -2.361072 -0.29 -0.87 1.04
H -3.072540 -3.971633 -1.027785 0.85 0.39 1.78
H -2.864834 -4.167562 0.528127 -0.76 -0.75 0.41
O -2.548120 -3.685791 -0.218931 -0.28 0.29 -2.09
H -3.953576 1.304791 -0.774381 0.11 -0.06 0.31
H -2.696640 0.704545 -1.345633 -0.97 -0.11 1.54
O -3.258280 0.675845 -0.520211 0.12 0.23 -2.15
H -2.010636 0.586944 -2.767451 -0.77 -0.81 -0.65
H -1.381101 0.207684 -3.947099 -0.69 -1.01 -0.39
O -2.181680 -0.103880 -3.462605 1.03 2.33 0.45
H -1.300351 -0.971338 4.689491 0.69 1.15 0.61
H -2.064214 -1.788472 3.896501 0.06 1.87 -0.88
O -1.806957 -0.802890 3.893030 -1.26 -2.49 1.24
H -1.497856 3.854067 -0.273887 -2.04 -1.60 3.21
H -2.088191 4.251454 1.173806 -0.21 -0.48 -0.52
O -2.025603 3.466576 0.591166 1.71 2.04 -2.54
H -0.005145 3.978408 1.444299 1.29 -0.10 -0.61
H 0.299385 2.614779 1.004143 0.82 0.35 -0.74
O 0.716145 3.507308 0.954256 -1.65 -0.08 1.16
H 0.020655 -1.850087 -2.045959 -0.03 0.26 -1.44
H -1.121835 -1.797493 -3.079643 0.03 0.12 -0.01
O -0.180157 -1.608220 -2.991455 0.24 -1.24 1.65
H 0.643234 4.534608 -1.916318 -0.82 -0.97 -1.29
H 0.628593 3.643197 -3.219753 0.95 -0.32 -0.56
O 0.069747 4.078304 -2.599301 -0.18 1.18 1.90
H 3.138930 -2.115291 3.069792 -0.47 -0.27 -0.10
H 1.771774 -2.731374 3.547065 -1.11 -0.30 -0.95
O 2.618591 -2.441894 3.812965 1.57 0.62 0.98
H -0.481882 -4.835274 -0.333250 -1.86 -0.52 -0.18
H 0.245838 -4.640808 -1.811348 -0.86 -0.33 1.24
O 0.261819 -4.593058 -0.834004 2.83 0.99 -1.21
H 4.518781 -2.182762 -0.460327 -0.14 0.05 1.61
H 3.945695 -2.889368 -1.417633 -1.19 -1.19 -0.32
O 3.806769 -2.851620 -0.457248 1.30 1.20 -1.26
+++
The C21 website says that they’re a “group of citizens tasked by Seattle Mayor Greg Nickels to help chart the course of Seattle Center for the next 20 years”, but if you look at the list you’ll soon realize that it reads like a list of current and future stakeholders in the future Seattle Center. Except of course, the skateboarders who have no representation.
This was totally fine with the skatepark advocates involved because it has been clearly outlined by the skateboarders and City Council many times that the skatepark replacement issue is extremely time sensitive and the replacement skatepark cannot/should not be subjected to more public process than it already has been. According to everyone involved, including the skatepark replacement in the C21 process will add a minimum of 5 years of delay to the skatepark’s construction schedule. Of course, this is totally unacceptable because it essentially robs an entire generation of kids from having a safe and accessible place to skate.
The text is interrupted by molecular data:
-- begin --
This record from the Open Molecules 2025 dataset describes a molecular structure, C30H41BBrF4O3PPtSSi. The level of theory is the ωB97M-V functional and the def2-TZVPD basis.

```
84
Properties=species:S:1:pos:R:3:forces:R:3:mulliken_charge:R:1
H -3.20769 1.04279 -2.35328 0.0 0.0 0.0 0.370
C 4.47260 -1.51671 3.53887 0.0 0.0 0.0 -0.698
H -5.26792 -2.36185 1.78141 0.0 0.0 0.0 0.369
C 1.49917 4.02426 3.77731 0.0 0.0 0.0 -0.776
H -7.71857 1.85631 0.05937 0.0 0.0 0.0 0.409
F -2.66719 3.72468 0.43792 0.0 0.0 0.0 -0.131
H -5.23216 -2.02956 -2.54300 0.0 0.0 0.0 0.430
H -5.96472 2.50837 2.58505 0.0 0.0 0.0 0.547
H 1.94120 0.07224 5.13718 0.0 0.0 0.0 0.501
O 1.92484 0.78828 0.25061 0.0 0.0 0.0 -0.706
C -3.10386 -1.32536 4.17192 0.0 -0.1 0.0 -1.101
Si -5.40990 0.03028 -0.24804 -0.1 0.0 -0.2 -2.489
C -4.75415 -2.39918 -1.63774 0.0 0.0 0.0 -1.948
H -7.54943 0.81950 -1.97728 0.0 0.0 0.0 0.377
F -2.16736 2.42342 2.26325 0.0 0.0 0.0 -0.062
H -4.86088 -3.48698 -1.63945 0.0 0.0 0.0 0.592
H -7.43989 -1.91046 0.51954 0.0 0.0 0.0 0.367
H -6.77378 -1.00203 2.35388 0.0 0.0 0.0 0.377
H -4.07918 -0.32793 -3.05243 0.0 0.0 0.0 0.307
H -5.53697 2.90669 0.92809 0.0 0.0 0.0 0.406
H 0.53024 -2.46429 3.47661 0.0 0.0 0.0 0.417
H -0.93718 3.78067 6.13313 0.0 0.0 0.0 0.490
C 1.98588 -0.35098 3.02765 0.0 -0.1 0.0 -0.232
H -7.43844 -1.72989 -1.24334 0.0 0.0 0.0 0.354
C -7.64605 1.14330 0.87924 0.0 0.0 0.0 -1.834
H -3.71445 -2.40636 0.93772 0.0 0.0 0.0 0.263
Br -2.38430 -0.05867 0.12135 0.2 0.0 0.3 -0.077
C -6.92078 -2.18685 -0.39811 0.0 0.0 0.0 -1.666
H -4.90930 -3.67048 0.66584 0.0 0.0 0.0 0.568
C -6.18262 0.82816 1.27611 0.0 -0.1 0.0 3.029
H -4.45977 2.88966 -1.07915 0.0 0.0 0.0 0.330
C 2.49786 -0.36758 4.31863 0.0 0.0 0.0 -0.514
C -0.48530 -2.14436 3.66864 0.0 0.0 0.0 -0.886
H -6.65841 -0.40917 -2.89553 0.0 0.0 0.0 0.366
H -6.66154 0.45429 3.33008 0.0 0.0 0.0 0.677
H -4.12202 -1.02190 4.37615 0.1 0.0 0.1 0.640
C -6.19743 -0.09049 2.50418 0.1 0.0 0.0 -2.014
C 2.75613 -0.90754 2.00213 0.0 0.1 0.0 0.847
H 4.56344 -1.87924 1.40719 0.0 0.0 0.0 0.577
C 0.36825 1.90873 3.64224 0.0 0.1 -0.1 0.646
H 2.24933 4.71559 3.41990 0.0 0.0 0.0 0.479
C 0.66598 4.37569 4.83379 0.0 0.0 0.0 -0.554
C -5.33785 1.03137 -1.84778 0.0 0.0 0.0 2.754
H -6.23184 2.89282 -1.07825 0.0 0.0 0.0 0.357
C -2.20360 -0.41457 3.65730 0.0 0.0 0.0 0.177
C 3.98880 -1.48080 2.23296 0.0 0.0 0.0 -0.422
C -5.34829 2.54875 -1.61251 0.0 0.0 0.0 -1.914
S 2.17810 -0.71306 0.37194 0.0 0.0 0.0 1.271
H -6.72868 1.24989 -3.46956 0.0 0.0 0.0 0.558
H 0.77866 5.34474 5.30176 0.0 0.0 0.0 0.456
H -1.10934 -4.07066 4.35449 0.0 0.0 0.0 0.485
H 2.00407 2.51398 2.35219 0.0 0.0 0.0 0.386
O 3.01951 -1.30980 -0.58228 0.0 0.0 0.0 -0.569
C -4.15618 0.72084 -2.77925 0.0 0.0 0.0 -1.635
H -8.13124 1.60045 1.74588 0.0 0.0 0.0 0.543
C 3.73558 -0.95814 4.56775 0.0 0.0 0.0 -0.789
C -6.65262 0.63113 -2.57178 0.0 0.0 0.0 -1.827
H -1.22119 1.58065 5.07656 0.0 0.0 0.0 0.490
C -5.47697 2.12874 1.68271 0.0 0.1 0.0 -1.821
-- stop --
Despite the outcry from skatepark advocates, the C21 committee continues to beg the City Council to roll the skatepark into the master plan. Tomorrow in Council Chambers, they will present to City Council their final recommendation for a site location, and within this recommendation lies their intent. If they recommend a site that is currently available and ready to go, then they will not be trying to usurp SeaSk8 #3 into the master planning process and thus delay the skatepark for up to 5 years. If they recommend a site that is currently occupied by a building that must be torn down first, or is a non-starter due to poor site conditions or existing user conflicts, they are trying to delay the skatepark again.
As usual, you can speak your opinion directly to the City Council before they hear the C21’s recommendation by showing up to the meeting and signing up to speak. The meeting is at 2pm in Council Chambers at City Hall, 600 4th Avenue. The skatepark site recommendation is at the end of the meeting, so bring a pillow.